“I bet the Mavs will finish higher than the Lakers”
A figurative wager starts a literal debate
I’ll bet 10 bucks right now that the Mavs will finish higher in the standings than the Lakers. Any takers?
_Unrelated to this article: records of crystals_
┌──
(1)
A geometry-optimized DyAlCo4 structure, computed with PBE.

abc: 4.987 4.987 4.045
angles: 90.00 90.00 121.04
Element x y z (fractional)
Dy 0.000 0.000 0.000
Al 0.500 0.500 0.500
Co 0.000 0.500 0.500
Co 0.328 0.672 0.000
Co 0.500 0.000 0.500
Co 0.672 0.328 0.000

## Properties
**DFT total energy**: -6.38 eV/atom


(2)
A geometry-optimized Dy2AlCo2 structure, computed with PBE.

abc: 5.392 5.392 5.392
angles: 136.25 119.05 78.00
Element x y z (fractional)
Dy 0.204 0.204 0.000
Dy 0.796 0.796 0.000
Al 0.500 0.000 0.500
Co 0.223 0.500 0.723
Co 0.777 0.500 0.277

## Properties
**DFT total energy**: -5.83 eV/atom


(3)
A geometry-optimized ErAlCo structure, computed with PBE.

abc: 8.356 5.289 5.289
angles: 60.89 90.00 90.00
Element x y z (fractional)
Er 0.175 0.000 0.000
Er 0.297 0.663 0.663
Er 0.703 0.663 0.663
Er 0.825 0.000 0.000
Al 0.228 0.326 0.326
Al 0.500 0.164 0.669
Al 0.500 0.669 0.164
Al 0.772 0.326 0.326
Co 0.000 0.503 0.503
Co 0.000 0.504 0.972
Co 0.000 0.972 0.504
Co 0.500 0.163 0.163

## Properties
**DFT total energy**: -5.54 eV/atom
└──
What’s the Lakers’ record? Are they above .500 right now?
The Lakers are 28-19 [as of February 3]. They’re 10 games out and currently fifth in the West. The Mavericks are 26-24; they’re 13.5 out in the nine hole.
Well, I would never bet on anything.
Figuratively speaking …
I took it as such …
The Mavs are three-and-a-half games behind the Lakers right now (and they’ve played three more games).
So, you’re willing to bet $10 that the Mavs will finish above the Lakers?
HENRY: (laughing)
Ten dollars?
Throw a number out there.
Ask me on February 7.
I mean, it’s a better bet now.
It raises a good question, Travis.
I had several conversations this weekend after the trade went down. A couple people were adamant that A[nthony] D[avis] is being grossly undervalued. One even said he believed the Lakers got fleeced in the deal.
Well, you’re talking to really stupid people.
These are just the conversations that I was having. I’m no expert, but—from a short-term basketball perspective—I like the way the Mavericks are set up, if they’re healthy.
You like AD on the Mavericks better than Luka Dončić?!
No, but I like AD on the Mavericks better than Luka on the Lakers.
Different question, right? I think you’re forgetting the elephant in the room. Who coaches Dallas?
I mean … Jason Kidd.
I can’t stress to you enough how big this elephant is.
The same elephant that got him to the Finals?
No, it’s not. No, that elephant was riding the real elephant—that guy’s in L.A. now.
Oh, my God, the picture in my head just got dirty.
Here’s a real world example of what I mean. The Mavs had a nice little win streak, then a rough patch, yet they were still skipping walk-throughs—on regular games, not back to backs. Then they lost enough games where suddenly they started doing it again.
But the idea that “the Mavs were winning games because they weren’t prepping for the game” is how I would end my closing argument, followed by: “This guy is not coaching.”
I agree with everything you’re saying, David—but it doesn’t change the fact that I’d put 10 bucks on the Mavericks today.
I think Luka, in a lot of ways, is the “anti-LeBron.” For all the reasons that we’ve discussed—not taking things seriously, not caring, not showing up—these are very anti-LeBron behaviors for a superstar.
I think we sometimes overlook the Eastern European cultural aspects here. I know a ton of people from that region, and it’s not as common to take everything so seriously. But that doesn’t seem like it’ll mesh well with LeBron’s M.O.
Serbia is considered Eastern Europe, right?
Calculated crystals, kept here for reference:
........
DFT (PBE) results for a relaxed SnS16I4 crystal.

Summary:
The total energy comes out at -3.723 eV per atom. The formation energy comes out at -0.5452 eV per atom. The calculation puts the distance to the lowest polymorph of the same formula at 0 meV/atom.

Cell lengths 16.439, 13.327, 13.038 Å; angles 77.14, 52.22, 50.64 degrees
Element x y z (fractional)
1 S 0.916 0.925 0.446
2 S 0.521 0.783 0.989
3 S 0.597 0.614 0.883
4 S 0.907 0.883 0.614
5 S 0.636 0.164 0.873
6 S 0.439 0.919 0.714
7 S 0.327 0.873 0.164
8 S 0.328 0.655 0.353
9 S 0.664 0.353 0.655
10 S 0.331 0.811 0.321
11 S 0.367 0.343 0.653
12 S 0.746 0.257 0.474
13 S 0.707 0.989 0.783
14 S 0.636 0.653 0.343
15 S 0.467 0.729 0.543
16 S 0.325 0.334 0.537
17 S 0.595 0.922 0.586
18 S 0.897 0.586 0.922
19 S 0.934 0.071 0.395
20 S 0.993 0.504 0.728
21 S 0.522 0.474 0.257
22 S 0.536 0.321 0.811
23 S 0.804 0.537 0.334
24 S 0.855 0.651 0.316
25 S 0.086 0.614 0.923
26 S 0.599 0.395 0.071
27 S 0.929 0.714 0.919
28 S 0.179 0.316 0.651
29 S 0.377 0.923 0.614
30 S 0.713 0.446 0.925
31 S 0.776 0.728 0.504
32 S 0.261 0.543 0.729
33 I 0.470 0.032 0.224
34 I 0.968 0.220 0.035
35 I 0.273 0.224 0.032
36 I 0.030 0.282 0.473
37 I 0.215 0.473 0.282
38 I 0.777 0.035 0.220
39 I 0.026 0.977 0.780
40 I 0.218 0.780 0.977
41 Sn 0.998 0.002 0.002
42 Sn 0.248 0.252 0.252

* * * * *

Record 1
This record from the Materials Project describes crystalline CrH12C8S2N2O2 at its relaxed geometry. The functional is GGA+U.

Values from the calculation:
**ΔE_f**: -9.03 eV per formula unit

```
data_CrH12C8S2N2O2
_space_group_name_H-M_alt 'P -1'
_space_group_IT_number 2
_cell_length_a 5.949
_cell_length_b 8.110
_cell_length_c 8.146
_cell_angle_alpha 105.17
_cell_angle_beta 98.05
_cell_angle_gamma 96.48
loop_
_space_group_symop_operation_xyz
'x,y,z'
'-x,-y,-z'
loop_
_atom_site_label
_atom_site_fract_x
_atom_site_fract_y
_atom_site_fract_z
_atom_site_occupancy
Cr1 0.000 0.000 0.000 1
H1 0.039 0.749 0.504 1
H2 0.074 0.558 0.351 1
H3 0.190 0.353 0.674 1
H4 0.395 0.676 0.186 1
H5 0.433 0.906 0.232 1
H6 0.446 0.801 0.403 1
C1 0.003 0.323 0.635 1
C2 0.106 0.784 0.265 1
C3 0.360 0.796 0.273 1
C4 0.388 0.802 0.832 1
S1 0.392 0.275 0.237 1
N1 0.226 0.859 0.881 1
O1 0.016 0.143 0.822 1
```

Record 2
This record from the Materials Project describes crystalline Na3CrH10C6O17 at its relaxed geometry. The functional is GGA+U.

Values from the calculation:
**ΔE_f**: -58.83 eV per formula unit

```
data_Na3CrH10C6O17
_space_group_name_H-M_alt 'C 1 2/c 1'
_space_group_IT_number 15
_cell_length_a 17.621
_cell_length_b 12.731
_cell_length_c 15.311
_cell_angle_alpha 90.00
_cell_angle_beta 100.23
_cell_angle_gamma 90.00
loop_
_space_group_symop_operation_xyz
'x,y,z'
'-x,-y,-z'
'-x,y,-z+1/2'
'x,-y,z+1/2'
'x+1/2,y+1/2,z'
'-x+1/2,-y+1/2,-z'
'-x+1/2,y+1/2,-z+1/2'
'x+1/2,-y+1/2,z+1/2'
loop_
_atom_site_label
_atom_site_fract_x
_atom_site_fract_y
_atom_site_fract_z
_atom_site_occupancy
Na1 0.000 0.003 0.250 1
Na2 0.000 0.270 0.750 1
Na3 0.043 0.385 0.000 1
........
Yes, of course.
You don’t think the Serbs like to win?
I didn’t say anything about that. I was saying …
They’re mocking the OCD: Oh, you’re so worried. Oh, did LeBron miss his little workout today? Is he gonna freak out?
How about: Can I live? Can I have a fucking beer? The fuck you talking about?! I’ve been drinking beer since I was four.
So, again, I’m by no means an expert. But short term, I feel like the Mavs are gonna be pretty decent, and the Luka-LeBron pairing is going to be kind of a trainwreck.
They’re both—in different ways—control freaks. From what David just told us, Luka wants control over the team in that he wants teammates to be oriented to his success—something he doesn’t articulate very much.
There’s some suggestion Luka played a role in getting Haralabos Voulgaris fired. It matters if Luka is the kind of guy prone to pulling strings like that. Luka’s dad is on TV saying whatever is the opposite of “we respect the people in charge.” And LeBron is the most controlling player in league history. He runs his agency; the agency runs the team; and he’s been controlling who’s on the roster for going on 20 years. Only one of them can be in control.
Like, how many seconds do you need on the shot clock for all the dribbles?
I just don’t think Travis’ bet is the wisest (just yet). Why would you bet now not knowing what’s going to happen tomorrow?
The odds?
If it were $1,000, you’d be more concerned.
But your question is exactly what the Mavs’ ownership wants everyone to be wondering. They want us optimistic about their chances so they can get their fucking casino built—so we’re just being distracted. It’s no different than what oligarchs in power are doing every fucking day. The more we quibble over the shit, the more they get other shit done.
The other thing is, the Lakers have completely transformed how we can view them. Now they have a 25-year-old who’s been incredible in his career. I’m not predicting he’ll get worse. I think he’ll be just fine with Lebron—maybe even the perfect guy for LeBron, who can no longer shoulder that load (the way he’s always done). Now, he won’t have to. And he’s still very smart in the paint—sealing, posting, faking, pivoting. He’ll have his moments as primary ball-handler as well, but he won’t have to do it as often.
Regardless, free agents are going to want to play with Luka, so the Lakers’ chances of signing quality free agents just increased. They can’t do anything now, other than some trades in the margins. (Before you ask, I don’t think they should go after Jimmy Butler.)
Marc Stein reported that Luka didn’t want to work with former Mavs trainer Casey Smith, whom Mark Cuban loved. But Luka had a guy he’d worked with in Spain and another he’d grown up with, and he didn’t want anyone else advising him on his body.
I feel like that’s a model for the coach, too, right? This is the control thing.
I mean, fuck everyone in Dallas for knowing that for 10 years and not telling us until Luka leaves—but JJ Redick is the Casey Smith in this story. He’s someone who has a lot of ideas about how you should work.
I didn’t think it’s from that point of view, but that’s very good. I was seeing more basketball wise, but JJ was also an insane workout guy. I mean, in theory, Luka should be listening to JJ, because he lasted a long time without anywhere near the same kind of talent. But no fucking way Luka will listen to that guy—I don’t think anyway
Yeah, it’s an interesting question: What happens next? I don’t think they bring Jason Kidd in, but they might if Luka wants him.
Not that they want to, but is it even possible to trade LeBron today? He makes so much money.
Well, he has a no-trade clause, so it’s not like they could just do a deal with Detroit. Besides, LeBron doesn’t want to leave L.A. Guy’s Hollywood, through and through.
He has a 15 percent trade bonus as well.
Wait one real quick. Before we go, I got no takers on that bet?
That’s interesting. I feel like I don’t want to bet with you on that. I don’t feel too cocky about the Lakers right now.
Look, David: they still can’t shoot, defend, or rebound, right? These are still their problems as currently constructed.
With my betting cap on, a hat I do not wear very often, I wonder how many games Luka and LeBron are each going to play the rest of the way?
Well, there’s also that, right? Do we have a timetable for Luka’s return?
I think it’s soon. AD is out with an abdominal issue, but he’s coming back soon as well.
It’s interesting that nobody’s taking Travis’ bet. He’s even spotting us three games, right?
Like, just to be clear, I just have nothing to do with gambling whatsoever. FBI, if you’re listening, Trump, whoever—I don’t fuck with any of that shit. So, you guys can debate all you want.
JAROD: (laughing)
“If you’re listening …”
David, separate from gambling, do you think the Lakers will finish with a better record than the Mavericks?
On February 7, I’ll have a much better idea. I think more moves are coming.
Yeah, well, I’m gonna dangle this bet until … let's call it midnight tonight.
Thank you for reading TrueHoop!
Travis "Ten-Spot" Moran.
Fun discussion to read. David's comment about Travis talking to some "really stupid people" cracked me up.
Are we sure Luka's only been drinking since he was 4? Must've been a late bloomer. Maybe LeBron will turn him into a wine guy.